Activity >
Repeat everything underneath with every line break kept.

Input >
********
Entry 1:
Formula: C4H4F2NO
Source: the Open Molecules 2025 dataset
Level of theory: the ωB97M-V functional and the def2-TZVPD basis

```
! wB97M-V def2-TZVPD RIJCOSX def2/J DEFGRID3
* xyz 1 1
C -0.410 0.000 -0.790
C -0.223 -0.539 0.352
C 0.125 1.425 -0.944
C -0.432 -1.672 1.172
N 0.758 1.439 0.452
O 1.752 2.033 0.758
F -0.506 -0.646 -1.910
F 0.995 1.547 -1.941
H -0.694 2.280 -1.078
H -0.337 -2.416 0.327
H -1.377 -1.672 1.660
H 0.347 -1.780 1.943
*
```

Its relative energy (zero: lowest compared OMol25 entry of this formula, charge and spin) is 109.7 kJ/mol. The value obtained for the calculated total energy is -13171.0316 eV. Its HOMO energy (alpha / beta) is -15.575 / -15.576 eV.

Mulliken population analysis, charges in e, atoms 1 to 2: 0.28, 0.34

---

Entry 2:
Formula: C5H7ClFN
Source: the Open Molecules 2025 dataset
Level of theory: the ωB97M-V functional and the def2-TZVPD basis

```
! wB97M-V def2-TZVPD RIJCOSX def2/J DEFGRID3
* xyz 0 1
C -0.065 -0.062 1.374
C -0.735 -1.166 -0.835
C 0.932 -0.028 0.456
C -2.026 -0.465 -0.595
C 1.860 1.244 0.510
N 0.490 -0.623 -0.698
F -0.047 1.013 2.312
Cl -0.614 -2.747 -1.606
H -2.762 -0.107 -1.357
H -2.691 -1.095 0.134
H -1.596 0.342 -0.111
H 1.380 2.001 -0.086
H 1.742 1.486 1.574
H 2.947 1.085 0.226
H 1.184 -0.879 -1.297
*
```

Its relative energy (zero: lowest compared OMol25 entry of this formula, charge and spin) is 503.4 kJ/mol. The value obtained for the calculated total energy is -22023.0822 eV. Its HOMO energy (alpha / beta) is -8.063 / -8.066 eV.

Mulliken population analysis, charges in e, atoms 1 to 2: -0.83, 0.35

---

Entry 3:
Formula: C36H106O17
Source: the Open Molecules 2025 dataset
Level of theory: the ωB97M-V functional and the def2-TZVPD basis

```
! wB97M-V def2-TZVPD RIJCOSX def2/J DEFGRID3
* xyz 1 2
O -0.391 0.201 -4.588
H 0.353 0.305 -3.996
H -0.185 0.764 -5.335
O 3.627 0.300 -2.325
H 4.516 0.146 -2.643
H 3.226 -0.568 -2.301
O -2.989 -0.179 -0.984
H -3.006 -0.400 -0.053
H -2.933 -1.024 -1.431
O 3.028 -3.836 0.581
H 3.772 -3.475 1.063
H 2.329 -3.192 0.700
O -2.365 -1.193 1.494
H -1.666 -1.799 1.250
H -2.234 -1.040 2.430
C -3.228 4.866 -1.785
C -2.396 4.509 -0.566
C -2.941 3.316 0.346
O -1.102 4.162 -1.008
H -4.214 5.276 -1.566
H -3.286 3.894 -2.275
H -2.533 5.513 -2.320
H -2.175 5.428 -0.024
H -3.131 2.505 -0.357
H -3.848 3.378 0.948
H -2.139 3.086 1.047
H -1.050 3.204 -0.986
C 2.003 4.754 -2.530
C 3.516 4.621 -2.150
C 4.115 5.762 -1.305
O 3.677 3.527 -1.327
H 1.517 3.837 -2.862
H 2.038 5.356 -3.438
H 1.482 5.116 -1.644
H 4.092 4.460 -3.061
H 5.111 5.488 -0.959
H 3.539 6.011 -0.414
H 4.253 6.661 -1.907
H 3.247 2.787 -1.762
C -5.997 0.463 -0.195
C -5.920 0.697 -1.719
C -7.161 1.128 -2.512
O -4.843 1.593 -1.856
H -6.176 1.354 0.407
H -5.194 -0.037 0.348
H -6.882 -0.164 -0.091
H -5.627 -0.246 -2.181
H -8.012 0.496 -2.258
H -6.799 0.995 -3.531
H -7.348 2.173 -2.265
H -4.130 0.974 -2.028
C 1.437 -0.024 5.351
C 0.067 0.534 5.155
C 0.141 1.940 4.475
O -0.569 -0.316 4.112
H 2.028 -0.221 4.456
H 1.417 -1.003 5.831
H 2.119 0.532 5.995
H -0.642 0.570 5.982
H 0.773 1.896 3.588
H 0.604 2.694 5.112
H -0.822 2.412 4.285
H -1.472 0.002 4.040
C -4.588 2.023 3.981
C -4.023 0.667 4.196
C -5.014 -0.391 3.637
O -2.935 0.589 3.495
H -3.822 2.746 4.261
H -5.523 2.283 4.477
H -4.756 2.083 2.906
H -3.893 0.482 5.262
H -4.512 -1.291 3.281
H -5.578 0.120 2.858
H -5.732 -0.726 4.386
H -3.070 1.177 2.748
C -0.529 -2.063 -6.695
C -0.902 -2.781 -5.418
C 0.225 -3.214 -4.579
O -1.714 -1.993 -4.613
H -0.460 -2.908 -7.381
H 0.401 -1.496 -6.667
H -1.300 -1.522 -7.244
H -1.707 -3.506 -5.542
H -0.023 -3.566 -3.577
H 1.014 -2.469 -4.476
H 0.629 -4.090 -5.088
H -1.278 -1.140 -4.541
C 0.452 0.797 0.934
C 0.515 0.535 -0.565
C 0.363 -0.920 -1.035
O -0.507 1.314 -1.122
H 0.818 1.797 1.166
H 1.069 0.067 1.456
H -0.431 0.575 1.534
H 1.496 0.866 -0.904
H 0.397 -0.937 -2.124
H -0.581 -1.410 -0.797
H 1.067 -1.597 -0.552
H -1.337 0.860 -0.956
C 4.486 -2.831 -4.364
C 4.330 -3.259 -2.888
C 5.561 -3.106 -1.972
********

Here it is >
Entry 1:
Formula: C4H4F2NO
Source: the Open Molecules 2025 dataset
Level of theory: the ωB97M-V functional and the def2-TZVPD basis

```
! wB97M-V def2-TZVPD RIJCOSX def2/J DEFGRID3
* xyz 1 1
C -0.410 0.000 -0.790
C -0.223 -0.539 0.352
C 0.125 1.425 -0.944
C -0.432 -1.672 1.172
N 0.758 1.439 0.452
O 1.752 2.033 0.758
F -0.506 -0.646 -1.910
F 0.995 1.547 -1.941
H -0.694 2.280 -1.078
H -0.337 -2.416 0.327
H -1.377 -1.672 1.660
H 0.347 -1.780 1.943
*
```

Its relative energy (zero: lowest compared OMol25 entry of this formula, charge and spin) is 109.7 kJ/mol. The value obtained for the calculated total energy is -13171.0316 eV. Its HOMO energy (alpha / beta) is -15.575 / -15.576 eV.

Mulliken population analysis, charges in e, atoms 1 to 2: 0.28, 0.34

---

Entry 2:
Formula: C5H7ClFN
Source: the Open Molecules 2025 dataset
Level of theory: the ωB97M-V functional and the def2-TZVPD basis

```
! wB97M-V def2-TZVPD RIJCOSX def2/J DEFGRID3
* xyz 0 1
C -0.065 -0.062 1.374
C -0.735 -1.166 -0.835
C 0.932 -0.028 0.456
C -2.026 -0.465 -0.595
C 1.860 1.244 0.510
N 0.490 -0.623 -0.698
F -0.047 1.013 2.312
Cl -0.614 -2.747 -1.606
H -2.762 -0.107 -1.357
H -2.691 -1.095 0.134
H -1.596 0.342 -0.111
H 1.380 2.001 -0.086
H 1.742 1.486 1.574
H 2.947 1.085 0.226
H 1.184 -0.879 -1.297
*
```

Its relative energy (zero: lowest compared OMol25 entry of this formula, charge and spin) is 503.4 kJ/mol. The value obtained for the calculated total energy is -22023.0822 eV. Its HOMO energy (alpha / beta) is -8.063 / -8.066 eV.

Mulliken population analysis, charges in e, atoms 1 to 2: -0.83, 0.35

---

Entry 3:
Formula: C36H106O17
Source: the Open Molecules 2025 dataset
Level of theory: the ωB97M-V functional and the def2-TZVPD basis

```
! wB97M-V def2-TZVPD RIJCOSX def2/J DEFGRID3
* xyz 1 2
O -0.391 0.201 -4.588
H 0.353 0.305 -3.996
H -0.185 0.764 -5.335
O 3.627 0.300 -2.325
H 4.516 0.146 -2.643
H 3.226 -0.568 -2.301
O -2.989 -0.179 -0.984
H -3.006 -0.400 -0.053
H -2.933 -1.024 -1.431
O 3.028 -3.836 0.581
H 3.772 -3.475 1.063
H 2.329 -3.192 0.700
O -2.365 -1.193 1.494
H -1.666 -1.799 1.250
H -2.234 -1.040 2.430
C -3.228 4.866 -1.785
C -2.396 4.509 -0.566
C -2.941 3.316 0.346
O -1.102 4.162 -1.008
H -4.214 5.276 -1.566
H -3.286 3.894 -2.275
H -2.533 5.513 -2.320
H -2.175 5.428 -0.024
H -3.131 2.505 -0.357
H -3.848 3.378 0.948
H -2.139 3.086 1.047
H -1.050 3.204 -0.986
C 2.003 4.754 -2.530
C 3.516 4.621 -2.150
C 4.115 5.762 -1.305
O 3.677 3.527 -1.327
H 1.517 3.837 -2.862
H 2.038 5.356 -3.438
H 1.482 5.116 -1.644
H 4.092 4.460 -3.061
H 5.111 5.488 -0.959
H 3.539 6.011 -0.414
H 4.253 6.661 -1.907
H 3.247 2.787 -1.762
C -5.997 0.463 -0.195
C -5.920 0.697 -1.719
C -7.161 1.128 -2.512
O -4.843 1.593 -1.856
H -6.176 1.354 0.407
H -5.194 -0.037 0.348
H -6.882 -0.164 -0.091
H -5.627 -0.246 -2.181
H -8.012 0.496 -2.258
H -6.799 0.995 -3.531
H -7.348 2.173 -2.265
H -4.130 0.974 -2.028
C 1.437 -0.024 5.351
C 0.067 0.534 5.155
C 0.141 1.940 4.475
O -0.569 -0.316 4.112
H 2.028 -0.221 4.456
H 1.417 -1.003 5.831
H 2.119 0.532 5.995
H -0.642 0.570 5.982
H 0.773 1.896 3.588
H 0.604 2.694 5.112
H -0.822 2.412 4.285
H -1.472 0.002 4.040
C -4.588 2.023 3.981
C -4.023 0.667 4.196
C -5.014 -0.391 3.637
O -2.935 0.589 3.495
H -3.822 2.746 4.261
H -5.523 2.283 4.477
H -4.756 2.083 2.906
H -3.893 0.482 5.262
H -4.512 -1.291 3.281
H -5.578 0.120 2.858
H -5.732 -0.726 4.386
H -3.070 1.177 2.748
C -0.529 -2.063 -6.695
C -0.902 -2.781 -5.418
C 0.225 -3.214 -4.579
O -1.714 -1.993 -4.613
H -0.460 -2.908 -7.381
H 0.401 -1.496 -6.667
H -1.300 -1.522 -7.244
H -1.707 -3.506 -5.542
H -0.023 -3.566 -3.577
H 1.014 -2.469 -4.476
H 0.629 -4.090 -5.088
H -1.278 -1.140 -4.541
C 0.452 0.797 0.934
C 0.515 0.535 -0.565
C 0.363 -0.920 -1.035
O -0.507 1.314 -1.122
H 0.818 1.797 1.166
H 1.069 0.067 1.456
H -0.431 0.575 1.534
H 1.496 0.866 -0.904
H 0.397 -0.937 -2.124
H -0.581 -1.410 -0.797
H 1.067 -1.597 -0.552
H -1.337 0.860 -0.956
C 4.486 -2.831 -4.364
C 4.330 -3.259 -2.888
C 5.561 -3.106 -1.972